Avoiding Food Waste At Home

It’s a fact. We don’t eat all of the food that we buy. No matter how good our intentions are, in Canada we are still throwing out about 10% of the fresh produce we buy. While some of that waste does get composted, that’s no better than the lowly third R - Recycling. We want to reduce food waste. Plus, it helps the pocketbook – if you don’t have to pay for something you’re just going to throw out, you’re that much farther ahead.

Attached: calculated crystals.
<<<
Record 1
VASP calculation (GGA-PBE) on a geometry-optimized GaSO structure.

POSCAR file:
```
GaSO
1.0
-0.281 5.278 -1.792
-6.472 -0.610 -0.781
1.385 2.011 5.705
O S Ga
4 4 4
Cartesian
-5.610 2.366 2.256 O
0.242 4.314 0.876 O
-6.263 0.603 -0.340 O
0.894 6.076 3.472 O
-3.156 1.876 -0.349 S
-2.212 4.804 3.481 S
-2.970 5.027 0.211 S
-2.398 1.653 2.921 S
-4.506 1.768 3.678 Ga
-5.266 2.044 0.390 Ga
-0.862 4.912 -0.546 Ga
-0.102 4.635 2.742 Ga
```

Energy relative to the elements, uncorrected: -101.7 kJ/mol of atoms
SG: P2_1/c, No. 14
VASP energy: -5.091 eV per atom
Calculated volume: 212 Å³ per cell

Record 2
VASP calculation (GGA-PBE) on a geometry-optimized GaS2O structure.

POSCAR file:
```
GaS2O
1.0
1.630 0.000 8.355
-0.815 1.412 8.355
-0.815 -1.412 8.355
S O Ga
2 1 1
Cartesian
0.000 0.000 22.511 S
0.000 0.000 2.554 S
0.000 0.000 12.532 O
0.000 0.000 0.000 Ga
```

Energy relative to the elements, uncorrected: 72.9 kJ/mol of atoms
SG: R-3m, No. 166
VASP energy: -3.305 eV per atom
Calculated volume: 58 Å³ per cell
Energy above the most stable polymorph in this dataset: 0.800 eV/atom

VASP energy of number 1 (GaSO)? -5.091 eV per atom

Copy entry 2 word for word.
VASP calculation (GGA-PBE) on a geometry-optimized GaS2O structure.

POSCAR file:
```
GaS2O
1.0
1.630 0.000 8.355
-0.815 1.412 8.355
-0.815 -1.412 8.355
S O Ga
2 1 1
Cartesian
0.000 0.000 22.511 S
0.000 0.000 2.554 S
0.000 0.000 12.532 O
0.000 0.000 0.000 Ga
```

Energy relative to the elements, uncorrected: 72.9 kJ/mol of atoms
SG: R-3m, No. 166
VASP energy: -3.305 eV per atom
Calculated volume: 58 Å³ per cell
Energy above the most stable polymorph in this dataset: 0.800 eV/atom

What is the energy relative to the elements, uncorrected in the first record? -101.7 kJ/mol of atoms

What is the VASP energy in the first record? -5.091 eV per atom
>>>

Enough with the guilt trip already. Surely hotels and restaurants are much worse than everyday consumers! True -- that’s why we’ve tackled the commercial food waste issue on page four. Feel free to skip ahead if you’re feeling righteous. Otherwise, here are some tips on how to reduce food waste right in our own grocery carts and kitchens.

• Inserted here: data records:
/*
YZr2Sc | SCAN | single point on PBEsol structure

Geometry as POSCAR:
```
YZr2Sc
1.0
5.047 0.000 0.000
0.000 1.622 5.988
0.000 -1.622 5.988
Y Zr Sc
1 2 1
Direct
0.000 0.000 0.000
0.000 0.265 0.265
0.500 0.370 0.370
0.500 0.647 0.647
```

density	5.359	Mg/m³
distance to the lowest polymorph of the same formula	0	meV per atom
total energy	-103.34	eV for the cell shown
size of the total moment	0.00	μB/f.u.

---

Y2ZrSc | SCAN | single point on PBEsol structure

Geometry as POSCAR:
```
Y2ZrSc
1.0
3.324 0.000 0.000
0.000 3.324 0.000
0.000 0.000 9.481
Y Zr Sc
2 1 1
Direct
0.000 0.000 0.000
0.500 0.500 0.279
0.000 0.000 0.522
0.500 0.500 0.740
```

density	4.977	Mg/m³
distance to the lowest polymorph of the same formula	29	meV per atom
total energy	-100.22	eV for the cell shown
size of the total moment	0.00	μB/f.u.

---

YZrSc2 | SCAN | single point on PBEsol structure

Geometry as POSCAR:
```
YZrSc2
1.0
5.376 -1.618 0.000
5.376 1.618 0.000
-0.924 0.000 5.606
Y Zr Sc
1 1 2
Direct
0.000 0.000 0.000
0.752 0.752 0.254
0.246 0.246 0.735
0.497 0.497 0.487
```

density	4.597	Mg/m³
distance to the lowest polymorph of the same formula	36	meV per atom
total energy	-86.58	eV for the cell shown
size of the total moment	0.09	μB/f.u.

---

YZrSc2 | SCAN | single point on PBEsol structure

Geometry as POSCAR:
```
YZrSc2
1.0
5.021 0.000 0.000
0.000 1.607 6.074
0.000 -1.607 6.074
Y Zr Sc
1 1 2
Direct
0.000 0.000 0.000
0.500 0.344 0.344
0.000 0.745 0.745
0.500 0.617 0.617
```

density	4.576	Mg/m³
distance to the lowest polymorph of the same formula	0	meV per atom
total energy	-86.72	eV for the cell shown
size of the total moment	0.17	μB/f.u.

---

YZrSc2 | SCAN | single point on PBEsol structure

Geometry as POSCAR:
```
YZrSc2
1.0
3.265 0.000 0.000
0.000 4.562 0.000
0.000 0.000 6.570
Y Zr Sc
1 1 2
Direct
0.000 0.000 0.000
0.500 0.500 0.253
0.000 0.000 0.482
0.500 0.500 0.730
```

density	4.582	Mg/m³
distance to the lowest polymorph of the same formula	31	meV per atom
total energy	-86.60	eV for the cell shown
size of the total moment	0.11	μB/f.u.

---

YZrSc2 | SCAN | single point on PBEsol structure
*/


An excellent source of ideas and information – even though it is UK-based – is the website lovefoodhatewaste.com. Here are some of their practical solutions to reducing how much food gets thrown out.

Make a list and check it twice – grocery shopping with a list is a powerful waste reduction tool, believe it or not. Keep a running list on the fridge door or on a smart phone so you can add to it when things run out or get low. Then, on shopping day, have a look in your cupboards and fridge at what you do and don’t have, and add those items to your list.

Even better, have a meal plan, and add any specific ingredients to your shopping list. (To make this work, at the store you need to avoid the impulse buys and stick to your list!)

The right place at the right time – keeping foods stored under proper conditions helps them last longer and stay fresher. Potatoes need a cool dark place to be, but not necessarily the fridge. Some items actually do best without refrigeration, like tomatoes. Local produce, that hasn’t been refrigerated already, can often do well at room temperature too – such as cucumbers.

Proper refrigeration is important. Keep your fridge at 3 degrees Celsius. SaskPower often hands out fridge and freezer thermometers at trade shows, which are useful in setting your appliances at their appropriate temperatures.

Proportionate portions – making too much, especially of something that can’t be frozen afterwards, can easily lead to food waste. Try using a portion planner to help. Cooked leftovers are good for two days in the fridge. If you are not likely to use them by then -- freeze ‘em!

Freeze it or lose it – your freezer is a great way to keep food, ingredients or meals in ‘stasis’ until you are ready for them. Many fresh items that are ripe but not yet needed can be peeled, chopped and frozen – fruits for smoothies, tomatoes for sauces, or vegetables for steaming.

A few hints: label frozen meals and leftovers with a date. You can even buy labeling tape that is designed to stay on in the freezer. Avoid freezer burn by using airtight containers. Freezer burn isn’t dangerous, but it certainly doesn’t improve food’s taste or texture.

(Side note: fridge freezers are the worst freezer-burn offenders because they self-defrost by sucking moisture out of the air – and food. Chest freezers tend to build up frost on the inside, but aren’t as hard on food.)

A few new habits, less wasted food, and saved money ... everyone wins!

[Source: October 2013 WasteWatch ]